When should you seek out a Fertility Specialist?

Computed, not measured: a molecular structure, C52H47BrFGaN4O8S2Si, with ωB97M-V/def2-TZVPD.

Properties
gap between HOMO and LUMO: 6.328 eV
total charge: -2

Last column: Löwdin charge in e.
Geometry (Å):
1 Ga -0.830 -0.056 1.053  0.4450
2 C 6.084 -3.571 -0.647  -0.0327
3 C 5.769 -3.578 0.848  -0.3230
4 C 7.007 -3.417 1.719  -0.1461
5 C 7.615 -2.033 1.540  -0.1420
6 C 6.570 -0.979 1.799  -0.1438
7 C 6.924 0.289 2.212  0.0306
8 C 5.943 1.236 2.458  -0.2601
9 F 6.336 2.470 2.858  0.0417
10 C 4.612 0.954 2.319  0.0766
11 C 4.229 -0.318 1.897  -0.0261
12 C 2.768 -0.593 1.717  -0.2937
13 O 1.943 0.208 2.113  0.0813
14 C 2.484 -1.861 1.049  -0.0071
15 C 3.497 -2.733 0.856  0.0134
16 N 4.803 -2.530 1.176  -0.0012
17 C 5.206 -1.282 1.630  -0.0862
18 C 1.148 -2.328 0.494  -0.5540
19 O 1.066 -3.517 0.193  0.0246
20 O 0.216 -1.480 0.290  -0.0008
21 H 6.871 -4.292 -0.878  0.0791
22 H 6.408 -2.581 -0.970  0.0813
23 H 5.197 -3.832 -1.225  0.0806
24 H 5.292 -4.527 1.104  0.1458
25 H 7.726 -4.200 1.469  0.1133
26 H 6.718 -3.548 2.764  0.1265
27 H 8.016 -1.927 0.528  0.1141
28 H 8.453 -1.894 2.226  0.1142
29 H 7.966 0.552 2.350  0.1226
30 H 3.841 1.679 2.524  0.1233
31 H 3.261 -3.693 0.412  0.1382
32 C -3.988 3.373 2.320  -0.1201
33 C -3.775 3.042 0.988  -0.0938
34 C -2.841 2.071 0.654  -0.1252
35 C -2.116 1.378 1.629  -0.1675
36 C -2.344 1.735 2.960  -0.1129
37 C -3.258 2.725 3.307  -0.1095
38 H -4.723 4.125 2.587  0.0836
39 H -4.342 3.527 0.201  0.1000
40 H -2.693 1.840 -0.393  0.0805
41 H -1.778 1.259 3.753  0.0938
42 H -3.403 2.984 4.350  0.0878
43 C 1.493 5.182 -0.504  -0.1028
44 C 0.864 4.003 0.249  -0.5847
45 C 1.848 3.568 1.336  -0.0991
46 C -0.425 4.467 0.940  -0.0803
47 Si 0.530 2.489 -0.865  0.4984
48 O 0.132 1.161 -0.089  -0.2376
49 C 2.126 2.034 -1.811  -0.1771
50 C 2.600 0.729 -1.655  -0.0678
51 C 3.733 0.279 -2.323  -0.0918
52 C 4.423 1.133 -3.172  -0.1209
53 C 3.958 2.429 -3.363  -0.1133
54 C 2.820 2.865 -2.696  -0.1010
55 C -0.717 2.920 -2.228  -0.1945
56 C -1.310 4.161 -2.463  -0.1017
57 C -2.272 4.337 -3.451  -0.1012
58 C -2.672 3.264 -4.228  -0.1018
59 C -2.095 2.019 -4.019  -0.0894
60 C -1.133 1.853 -3.034  -0.0822
61 H 1.617 6.027 0.187  0.0763
62 H 0.886 5.530 -1.342  0.0592
63 H 2.482 4.927 -0.888  0.0605
64 H 1.961 4.367 2.080  0.0821
65 H 2.834 3.374 0.906  0.0751
66 H 1.505 2.667 1.850  0.0687
67 H -0.200 5.326 1.587  0.0801
68 H -0.849 3.679 1.564  0.0666
69 H -1.203 4.769 0.238  0.0638
70 H 2.048 0.063 -1.000  0.0863
71 H 4.071 -0.743 -2.184  0.0891
72 H 5.310 0.790 -3.694  0.0854
73 H 4.481 3.098 -4.036  0.0876
74 H 2.456 3.869 -2.888  0.0919
75 H -1.039 5.017 -1.857  0.0717
76 H -2.728 5.310 -3.592  0.0904
77 H -3.448 3.385 -4.973  0.0952
78 H -2.422 1.174 -4.607  0.0894
79 H -0.713 0.866 -2.860  0.1088
80 N -4.725 -4.180 -6.387  0.0679
81 C -4.837 -3.265 -5.321  -0.3355
82 C -6.055 -3.079 -4.674  -0.0462
83 C -6.165 -2.161 -3.639  -0.0698
84 C -5.067 -1.413 -3.251  -0.3088
85 C -3.851 -1.592 -3.895  -0.0598
End of the molecular data.
When trying to have a baby, we fathom that time will move slow for you…trying to wait and see each month if you are indeed pregnant. And while we believe that if there is any doubt you should seek out a specialist, we hope this guide will help you understand and check if there are any fertility problems and when should you seek out a Fertility specialist.
It’s been a year
Yes, a year, believe it not it can take up to a year for a couple to get pregnant. But do note the women in this situation would be below the 35 years of age. While the specialists recommend women to have a child in their 20’s or early 30’s, it still takes up to a year 85% of couples will be successful at the end of the year, with 50% of couples will get pregnant within 6 months.
So, if you have been trying for a year, seek out a fertility specialist.
You are over 35
After 35, the chances of conceiving start dipping impacting not just the quantity but also the quality of eggs. It is, therefore, better to seek out a specialist and not waste even a moment, if you are planning to have a baby. And especially if you are over 40, the conception of a baby can be difficult and we strongly advise you first seek out a specialist and plan.
Irregular Periods?
Irregular menstrual cycle, an absence of periods for a time, or pelvic pains could be an indication that you have an undiagnosed fertility issue. They could also suggest problems with ovulation or previous issues such an endometriosis or any surgery on the ovaries, all these issues need immediate attention and you should visit a specialist immediately.
Any other medical condition?
If there are certain medical conditions such as Thyroid, hypertension, diabetes, heart or kidney disease, it is ideal they seek out a fertility specialist sooner to discuss and plan for a safe pregnancy.
It is also good to monitor when your mother went into menopause, an early menopause may be an indicator that your fertility may also decline at an earlier, in such case, it will be wise to consult your doctor. And, if you are a cancer survivor, see a fertility specialist to have a healthy and safe pregnancy. The simple take away here with such medical condition, that with proper consultations and care, your chances of a healthy pregnancy improves, and both you and your child are healthy.
You’ve had multiple miscarriages
If you have been trying but have had a miscarriage or two OR you may be showing positive pregnancy tests – both these situations also need medical help, and we recommend that you seek out a specialist immediately and get a diagnosis.
We hope this helps, and if this article makes you think you need to book an appointment with us, please do so now here – Book Appointment.
Dr. S Vyjayanthi is an eminent Fertility specialist with more than 15 years’ experience in the field of Fertility and has performed more than 5000 cycles of IVF. Having attained her specialisation in UK, she returned to India in 2009, and since then has earned the reputation as one of the foremost Fertility centers of excellence in the country.
For more questions email us or book an appointment for a consult.